-- Given --
1.
Computed, not measured: C28H18BrI2N3O4RuS4 as an isolated structure in a non-equilibrium geometry, with ωB97M-V/def2-TZVPD.

Structure (XYZ):
```
61
Properties=species:S:1:pos:R:3:forces:R:3
Ru 0.41063 0.19499 0.19650 0.5 -2.3 0.8
O -3.55837 -3.99357 0.10164 0.0 0.0 0.0
C -3.95527 -2.95997 -0.70671 0.0 0.0 0.0
C -5.29326 -2.97050 -1.09587 0.0 0.0 0.0
C -5.78698 -1.95413 -1.89038 0.0 0.0 0.0
C -4.95592 -0.91353 -2.29760 0.0 0.0 0.0
C -3.62885 -0.92200 -1.91397 0.0 0.0 0.0
C -3.10292 -1.94718 -1.13232 -0.1 -0.1 -0.1
C -1.63846 -1.88479 -0.75557 0.3 0.3 0.2
O -1.36218 -0.76839 -0.08504 -0.7 0.1 -0.6
N -0.82061 -2.10841 -2.07800 -0.1 0.1 -0.1
N 0.37083 -1.55707 -2.28552 -0.2 -0.1 0.5
C 0.46130 -0.26212 -2.15098 0.0 0.1 -0.3
C 1.80365 0.34553 -2.23711 0.2 0.1 -0.2
Br 1.76447 2.24112 -2.17797 0.2 0.1 -0.5
C 2.92958 -0.37168 -2.21453 -0.1 -0.1 0.0
C 4.34356 -0.00150 -2.13696 0.0 0.0 0.1
C 5.18720 -0.92189 -1.50439 0.0 0.0 0.0
C 6.53684 -0.66480 -1.33809 0.0 0.0 0.0
C 7.08038 0.51757 -1.82168 0.0 0.0 0.0
C 6.26048 1.43001 -2.47053 0.0 0.0 0.0
C 4.90589 1.17867 -2.62732 0.0 0.0 -0.1
H -2.67523 -3.81406 0.44081 0.0 0.0 0.0
H -5.92556 -3.77801 -0.75000 0.0 0.0 0.0
H -6.82843 -1.96843 -2.18812 0.0 0.0 0.0
H -5.34489 -0.10382 -2.90104 0.0 0.0 0.0
H -2.96675 -0.11242 -2.20117 0.0 0.0 0.0
H -1.32395 -2.78843 -0.19747 0.0 -0.1 0.0
H -0.74997 -3.10746 -2.22023 0.1 0.0 0.0
H -0.42183 0.35937 -2.23739 0.0 0.1 0.2
H 2.74043 -1.43584 -2.09889 0.0 0.0 0.0
H 4.75947 -1.83793 -1.11205 0.0 0.0 0.0
H 7.16108 -1.38490 -0.82414 0.0 0.0 0.0
H 8.13536 0.72606 -1.69397 0.0 0.0 0.0
H 6.67734 2.35283 -2.85536 0.0 0.0 0.0
H 4.28710 1.89894 -3.14021 0.0 0.0 0.0
O 5.89668 -2.68875 3.34449 -0.1 0.0 -0.1
C 4.95890 -2.19742 2.77108 0.1 0.0 0.1
S 4.82882 -0.47207 2.38823 0.0 -0.1 0.0
C 3.26391 -0.56227 1.61083 -0.3 1.2 -0.3
C 2.67174 -1.76598 1.55227 -0.9 -0.6 -0.7
S 1.12863 -1.97590 0.74849 0.8 0.6 0.9
S 3.53893 -3.12129 2.23451 0.1 0.0 0.0
S 2.53735 0.90216 0.97407 0.2 -0.1 -0.3
I -2.51928 4.10228 -1.91726 0.0 0.0 0.0
C -1.94145 3.70115 0.03553 -0.1 0.2 0.2
C -2.29644 4.57835 1.07477 0.0 0.0 -0.1
C -1.94160 4.34016 2.37689 0.1 -0.1 -0.1
I -2.48415 5.72733 3.83494 0.0 0.1 0.1
C -1.20647 3.17214 2.71715 -0.1 0.0 0.1
C -0.77435 2.80465 4.01180 0.0 0.0 0.0
C -0.07247 1.64715 4.18925 0.0 0.0 0.0
C 0.22302 0.83105 3.08613 -0.3 -0.2 0.2
N -0.17889 1.13925 1.87278 -0.2 0.1 0.3
C -0.87420 2.29852 1.66938 0.1 0.0 -0.2
C -1.19964 2.55841 0.28935 0.1 -0.8 -0.1
O -0.81797 1.68234 -0.57718 0.2 1.4 0.3
H -2.86077 5.46764 0.82766 0.0 0.0 0.0
H -0.99384 3.45240 4.85005 0.0 0.0 0.0
H 0.27599 1.34886 5.16794 0.0 0.0 0.0
H 0.77959 -0.09066 3.19377 0.0 0.0 0.0
```
Forces are in eV/Å.

Summary:
Charge: -1
HOMO energy (spin up / spin down) in eV: -4.606 / -4.764
Orbital gap (spin up / spin down) in eV: 6.5 / 5.8
Spin multiplicity: 2
Relative energy (zero: lowest compared OMol25 entry of this formula, charge and spin) in kJ/mol: 44.53

---

2.
Computed, not measured: a 7-piece molecular cluster, C51H48BCl2NO2S overall in a non-equilibrium geometry, with ωB97M-V/def2-TZVPD.

Structure (XYZ):
```
106
Properties=species:S:1:pos:R:3:forces:R:3
C -0.54295 -2.69921 3.22393 1.3 0.4 1.4
C -0.40740 -1.13740 3.50919 -0.1 0.7 -2.3
Cl -0.32456 -0.59521 5.24616 -0.2 -0.7 -2.2
C -0.32383 -0.21432 2.44362 0.0 -0.5 2.6
Cl -0.12311 1.56864 2.90761 -0.2 -2.0 -0.9
N -0.35119 -0.49511 1.00456 -0.3 -2.2 0.6
C 0.88530 -1.08981 0.48268 4.9 -0.4 -1.2
C 2.14118 -0.13722 0.42929 0.7 -3.6 -1.2
C 3.52132 -0.67201 -0.07777 -3.4 -2.0 0.3
C 3.67936 -2.14592 -0.55027 -3.2 1.0 1.3
C 2.48173 -3.11930 -0.49015 -0.1 4.3 1.0
C 1.12171 -2.54227 0.01716 1.3 1.2 0.0
S -0.29674 -3.76313 0.03314 -0.1 2.4 -0.1
C -1.76574 -2.60315 0.06707 -1.5 1.3 -0.1
C -3.10397 -3.22390 -0.42180 -0.7 3.5 0.6
C -4.38239 -2.35437 -0.48460 3.7 1.5 1.3
C -4.26093 -0.87444 -0.04306 2.6 -2.1 0.0
C -2.90366 -0.24662 0.45273 -0.4 -3.4 -1.4
B -2.96962 1.33706 0.82821 0.5 0.9 0.8
O -3.39498 1.68502 2.19304 -0.6 -1.0 -2.9

-- To do --
Please transcribe the lines further up up to the one that holds "-2.85536 0.0", that line included.

-- Completed --
1.
Computed, not measured: C28H18BrI2N3O4RuS4 as an isolated structure in a non-equilibrium geometry, with ωB97M-V/def2-TZVPD.

Structure (XYZ):
```
61
Properties=species:S:1:pos:R:3:forces:R:3
Ru 0.41063 0.19499 0.19650 0.5 -2.3 0.8
O -3.55837 -3.99357 0.10164 0.0 0.0 0.0
C -3.95527 -2.95997 -0.70671 0.0 0.0 0.0
C -5.29326 -2.97050 -1.09587 0.0 0.0 0.0
C -5.78698 -1.95413 -1.89038 0.0 0.0 0.0
C -4.95592 -0.91353 -2.29760 0.0 0.0 0.0
C -3.62885 -0.92200 -1.91397 0.0 0.0 0.0
C -3.10292 -1.94718 -1.13232 -0.1 -0.1 -0.1
C -1.63846 -1.88479 -0.75557 0.3 0.3 0.2
O -1.36218 -0.76839 -0.08504 -0.7 0.1 -0.6
N -0.82061 -2.10841 -2.07800 -0.1 0.1 -0.1
N 0.37083 -1.55707 -2.28552 -0.2 -0.1 0.5
C 0.46130 -0.26212 -2.15098 0.0 0.1 -0.3
C 1.80365 0.34553 -2.23711 0.2 0.1 -0.2
Br 1.76447 2.24112 -2.17797 0.2 0.1 -0.5
C 2.92958 -0.37168 -2.21453 -0.1 -0.1 0.0
C 4.34356 -0.00150 -2.13696 0.0 0.0 0.1
C 5.18720 -0.92189 -1.50439 0.0 0.0 0.0
C 6.53684 -0.66480 -1.33809 0.0 0.0 0.0
C 7.08038 0.51757 -1.82168 0.0 0.0 0.0
C 6.26048 1.43001 -2.47053 0.0 0.0 0.0
C 4.90589 1.17867 -2.62732 0.0 0.0 -0.1
H -2.67523 -3.81406 0.44081 0.0 0.0 0.0
H -5.92556 -3.77801 -0.75000 0.0 0.0 0.0
H -6.82843 -1.96843 -2.18812 0.0 0.0 0.0
H -5.34489 -0.10382 -2.90104 0.0 0.0 0.0
H -2.96675 -0.11242 -2.20117 0.0 0.0 0.0
H -1.32395 -2.78843 -0.19747 0.0 -0.1 0.0
H -0.74997 -3.10746 -2.22023 0.1 0.0 0.0
H -0.42183 0.35937 -2.23739 0.0 0.1 0.2
H 2.74043 -1.43584 -2.09889 0.0 0.0 0.0
H 4.75947 -1.83793 -1.11205 0.0 0.0 0.0
H 7.16108 -1.38490 -0.82414 0.0 0.0 0.0
H 8.13536 0.72606 -1.69397 0.0 0.0 0.0
H 6.67734 2.35283 -2.85536 0.0 0.0 0.0